Periodically users post questions in the Email-Users support forum wondering why their users don’t receive email messages when they expect them to. There are many reasons why users don’t receive email, some are within the control of Email-Users but many are not.
Email-Users User Settings
Email-Users is based on two user settings (which appear on the user’s profile page):
- Receive post or page notification emails
- Receive emails sent to multiple recipients
Email-Users has a plugin level setting which allows end users to modify their own settings which is enabled by default. When it is disabled, only users with the proper permissions can modify user settings related to Email-Users. No matter how the user has their settings configured, a user can always receive an email when they are the only recipient.
In Email-Users v4.5.2 a new Dashboard Widget has been added which reports the number of users who have their settings configured to receive each type of email. This information also appears on the Plugin Settings Page and should either of the types of email not have any users set to receive email, a warning message is displayed at the top of the screen.
Changing the Email-Users settings for a large number of users can be accomplished from the User Setting menu. By selecting the desired Users, Notifications and Mass Email can be enabled or disabled for a large number of users at one time. For a site that has a large number of users, the number of users which appear on each page can be changed on the Settings Page.
Test Email
Before sending out notifications or messages, it is important to validate the underlying WordPress email system is working. On the Plugin Settings page there is the ability to send a Test Message.

Email-Users utilizes WordPress’ wp_mail() function to send email. It does not interact with the OS or PHP mail functions directly. By using wp_mail(), which can be overridden by other WordPress plugins, Email-Users can work with different server configurations and email infrastructure.
If you don’t receive the test message then you may have a problem with your underlying WordPress email system. Do you receive email for user registration and comments? If not, there is something wrong which is out of the scope of Email-Users.
On some servers plugins such as WP-Mail-SMTP (this is just an example, there are others) can be used in situations where email is being sent but isn’t being received.
There is no point in trying to send Notifications or Mass Emails if the Test Message isn’t working.
BCC Limits
Some servers limit the number of email addresses which can appear in the BCC header of an email message. Email-Users has a setting to control the number of addresses which appear in the BCC field. If Email-Users is working for a small number of users but isn’t working for a larger number (e.g. all of your users) , you may be dealing with a BCC limit.
If you are able to send email to 3-5 users by selecting them from the list of users, I would next try sending a message to about 10 users and see if that works.
The sending logic is only different when 1 user is selected. Anytime more than one user is selected (2, 10, 37, 67, 1000, etc.), the same logic path through the code is used.
Unrelated to this page: data records:
____________
1.
Starting from a GGA-PBE-relaxed structure, the X-ray diffraction stick pattern of RhAu was simulated for Cu Kα (weighted mean of Kα1 and Kα2).
Intensities are scaled so that the largest is 100.

Most intense lines, 2θ from 10° to 80°, by intensity:
2θ = 39.01°, d = 2.309 Å, I = 100, hkl 1 0 4
2θ = 45.18°, d = 2.007 Å, I = 64, hkl 0 1 8
2θ = 38.43°, d = 2.342 Å, I = 32, hkl 0 0 12
2θ = 79.23°, d = 1.209 Å, I = 24, hkl 1 1 12
2θ = 66.21°, d = 1.412 Å, I = 21, hkl 1 1 0
2θ = 65.42°, d = 1.427 Å, I = 19, hkl 1 0 16
2θ = 79.60°, d = 1.204 Å, I = 13, hkl 0 2 4
2θ = 78.50°, d = 1.218 Å, I = 10, hkl 0 1 20
2θ = 28.58°, d = 3.123 Å, I = 10, hkl 0 0 9
2θ = 40.22°, d = 2.242 Å, I = 9, hkl 0 1 5

Structure:
```
data_RhAu
_chemical_formula_sum 'Rh6 Au6'
_symmetry_space_group_name_H-M 'R -3 m'
_symmetry_Int_Tables_number 166
_symmetry_space_group_name_Hall '-R 3 2"'
_cell_length_a 2.8231
_cell_length_b 2.8231
_cell_length_c 28.1085
_cell_angle_alpha 90.00
_cell_angle_beta 90.00
_cell_angle_gamma 120.00
loop_
_atom_site_label
_atom_site_type_symbol
_atom_site_fract_x
_atom_site_fract_y
_atom_site_fract_z
_atom_site_occupancy
Rh1 Rh 0.0000 0.0000 0.1294 1
Au1 Au 0.0000 0.0000 0.3786 1
```

***

2.
Starting from a GGA-PBE-relaxed structure, the X-ray diffraction stick pattern of Rh5Au3 was simulated for Cu Kα (weighted mean of Kα1 and Kα2).
Intensities are scaled so that the largest is 100.

Most intense lines, 2θ from 10° to 80°, by intensity:
2θ = 40.50°, d = 2.227 Å, I = 100, hkl 1 5 1
2θ = 39.79°, d = 2.265 Å, I = 67, hkl 2 2 -2
2θ = 39.38°, d = 2.288 Å, I = 35, hkl 0 6 1
2θ = 35.08°, d = 2.558 Å, I = 29, hkl 0 4 2
2θ = 47.97°, d = 1.897 Å, I = 26, hkl 1 7 0
2θ = 27.57°, d = 3.235 Å, I = 25, hkl 0 2 2
2θ = 67.17°, d = 1.394 Å, I = 22, hkl 3 3 -4
2θ = 43.70°, d = 2.071 Å, I = 21, hkl 2 0 1
2θ = 76.83°, d = 1.241 Å, I = 21, hkl 0 10 3
2θ = 68.92°, d = 1.362 Å, I = 17, hkl 2 8 1

Structure:
```
data_Rh5Au3
_chemical_formula_sum 'Rh20 Au12'
_symmetry_space_group_name_H-M 'C 1 2/m 1'
_symmetry_Int_Tables_number 12
_cell_length_a 5.0530
_cell_length_b 14.4625
_cell_length_c 7.6641
_cell_angle_alpha 90.00
_cell_angle_beta 109.19
_cell_angle_gamma 90.00
loop_
_symmetry_equiv_pos_as_xyz
'x,y,z'
'-x,-y,-z'
'-x,y,-z'
'x,-y,z'
'x+1/2,y+1/2,z'
'-x+1/2,-y+1/2,-z'
'-x+1/2,y+1/2,-z'
'x+1/2,-y+1/2,z'
loop_
_atom_site_label
_atom_site_type_symbol
_atom_site_fract_x
_atom_site_fract_y
_atom_site_fract_z
_atom_site_occupancy
Rh1 Rh 0.0917 0.1545 0.1842 1
Rh2 Rh 0.1541 0.4076 0.3094 1
Rh3 Rh 0.2497 0.0000 0.9998 1
Au1 Au 0.0000 0.2500 0.5000 1
Au2 Au 0.0000 0.3138 0.0000 1
Au3 Au 0.1850 0.0000 0.3724 1
```

***

3.
Starting from a GGA-PBE-relaxed structure, the X-ray diffraction stick pattern of RhAu2 was simulated for Cu Kα (weighted mean of Kα1 and Kα2).
Intensities are scaled so that the largest is 100.

Most intense lines, 2θ from 10° to 80°, by intensity:
2θ = 42.90°, d = 2.108 Å, I = 100, hkl 1 1 1
2θ = 38.22°, d = 2.355 Å, I = 72, hkl 2 0 0
____________
The only thing that is different is how many emails are sent and that is based on the BCC limit setting. If there is no limit, which is the default, it sends one email with all recipients on the BCC line. For any other setting, it will send some number of emails, depending on the BCC limit. If the BCC limit was set to 30 and you had 67 recipients, it would send 3 emails: The first 30, the second 30, and the final 7.
Advanced Debugging
In some situations you may want to examine what Email-Users is doing in gory detail. For development purposes Email-Users has a DEBUG mode. When in debug mode Email-Users will log quite a bit of information to the PHP error console using error_log() including the actual email headers it generates. It can be very useful to see the actual mail headers to ensure the expected recipients are actually included.
Because gaining access to the contents of the error_log() differs from web host to web host, I recommend using a WordPress debugging capability to capture it in the site’s /wp-content folder. By setting WP_DEBUG_LOG to true in your wp-config.php file, you can easily access the resulting debug.log file. On my development machine I use the following set up in my wp-config.php file:
define('WP_DEBUG', true); // or false
if (WP_DEBUG) {
define('WP_DEBUG_LOG', true);
ini_set('display_errors', 'on');
error_reporting(E_STRICT | E_ALL);
define('SAVEQUERIES', true);
define('SCRIPT_DEBUG', true);
error_log('Debug On!') ;
You would not want this on a production server but to temporarily chase down a problem, it works well. Unfortunately some plugins issue a lot of notices or warnings so you can run into the “Headers already sent” problem so you may want to tweak the above settings to meet your needs.
Once your WordPress debugging settings are tuned to your liking, you need to enable Debug for Email-Users. Doing this requires manually editing one of the plugin files.
On or about line 46 of the email-users.php file you will find a line of code which reads:
Between two parts of the entry: calculated crystals:
- - -
Starting from a crystal structure in Alexandria, relaxed with GGA-PBE, the XRD peak list of MnNi2P8 was simulated for Cu Kα (λ = 1.5418 Å).
No peak broadening, texture or thermal motion is included.

Structural model:
```
data_MnNi2P8
_cell_length_a 13.119
_cell_length_b 6.621
_cell_length_c 4.321
_cell_angle_alpha 90.00
_cell_angle_beta 96.76
_cell_angle_gamma 90.00
_symmetry_space_group_name_H-M 'C 1 2/m 1'
_symmetry_Int_Tables_number 12
loop_
_symmetry_equiv_pos_as_xyz
'x,y,z'
'-x,-y,-z'
'-x,y,-z'
'x,-y,z'
'x+1/2,y+1/2,z'
'-x+1/2,-y+1/2,-z'
'-x+1/2,y+1/2,-z'
'x+1/2,-y+1/2,z'
loop_
_atom_site_label
_atom_site_type_symbol
_atom_site_fract_x
_atom_site_fract_y
_atom_site_fract_z
Mn1 Mn 0.000 0.000 0.000
Ni1 Ni 0.183 0.500 0.224
P1 P 0.081 0.250 0.415
P2 P 0.147 0.000 0.723
P3 P 0.149 0.500 0.720
```

Peak list (6 most intense, 5 to 70 degrees two-theta, by intensity)
| d [Å] | 2θ (°) | Rel. int. |
| --- | --- | --- |
| 3.631 | 24.51 | 100 |
| 3.386 | 26.32 | 70 |
| 1.816 | 50.25 | 55 |
| 3.311 | 26.93 | 42 |
| 1.781 | 51.29 | 34 |
| 2.621 | 34.21 | 32 |
- - -
define( ‘MAILUSERS_DEBUG’, false);
-- Here the piece breaks off for records of crystals --
=====
[1]
Starting from a DFT-relaxed cell (PBE, Alexandria), the powder XRD pattern of Fe21B6W2 was computed for copper Kα.
No peak broadening, texture or thermal motion is included.

Structural model:
Cell: 7.4948 7.4948 7.4948 Å, 60.00 60.00 60.00°
Positions (direct):
Fe  0.0000  0.0000  0.0000
Fe  0.0000  0.0000  0.3419
Fe  0.0000  0.0000  0.6581
Fe  0.0000  0.3419  0.0000
Fe  0.0000  0.3419  0.6581
Fe  0.0000  0.6581  0.0000
Fe  0.0000  0.6581  0.3419
Fe  0.1472  0.6176  0.6176
Fe  0.3419  0.0000  0.0000
Fe  0.3419  0.0000  0.6581
Fe  0.3419  0.6581  0.0000
Fe  0.3824  0.3824  0.3824
Fe  0.3824  0.3824  0.8528
Fe  0.3824  0.8528  0.3824
Fe  0.6176  0.1472  0.6176
Fe  0.6176  0.6176  0.1472
Fe  0.6176  0.6176  0.6176
Fe  0.6581  0.0000  0.0000
Fe  0.6581  0.0000  0.3419
Fe  0.6581  0.3419  0.0000
Fe  0.8528  0.3824  0.3824
B  0.2751  0.2751  0.7249
B  0.2751  0.7249  0.2751
B  0.2751  0.7249  0.7249
B  0.7249  0.2751  0.2751
B  0.7249  0.2751  0.7249
B  0.7249  0.7249  0.2751
W  0.2500  0.2500  0.2500
W  0.7500  0.7500  0.7500

Peak list (6 most intense, 2θ from 10° to 90°, sorted by position)
| two_theta | Rel. int. |
| --- | --- |
| 16.73 | 42.1 |
| 37.96 | 87.7 |
| 41.75 | 86.8 |
| 44.41 | 100.0 |
| 48.59 | 48.2 |
| 76.22 | 43.9 |

---

[2]
Starting from a DFT-relaxed cell (PBE, Alexandria), the powder XRD pattern of CdIn4Au5 was computed for copper Kα.
No peak broadening, texture or thermal motion is included.

Structural model:
Cell: 5.6674 6.2315 6.9983 Å, 65.27 81.97 89.86°
Positions (direct):
Cd  0.0000  0.0000  0.0000
In  0.2246  0.8054  0.4033
In  0.4228  0.4514  0.8048
In  0.6178  0.4445  0.2017
In  0.8072  0.0700  0.6009
Au  0.1159  0.3500  0.2004
Au  0.3099  0.1449  0.5923
Au  0.5023  0.9395  0.9978
Au  0.7223  0.7404  0.4111
Au  0.9223  0.5384  0.8076

Peak list (6 most intense, 2θ from 10° to 90°, sorted by position)
| two_theta | Rel. int. |
| --- | --- |
| 28.66 | 100.0 |
| 37.09 | 72.6 |
| 38.21 | 60.8 |
| 38.48 | 58.9 |
| 38.81 | 57.5 |
| 39.06 | 57.4 |
=====
You need to change the code such that it reads:
define( ‘MAILUSERS_DEBUG’, true);
After you have made this change Email-Users will output information to the error_log.
In the image below you can see a series of email headers each with 10 email addresses in the BCC field (BCC limit is set to 10).

If the information in the error_log is what is expected then there is little, if anything which can be done from Email-Users. At this point you will need to figure out where the email is routing to and where it isn’t which is beyond the scope of the Email-Users plugin.
I was using Email-Users on our local Swim Team’s web site and heard from a number of parents that they weren’t receiving emails. I noticed that all of the reports were coming from families with RoadRunner email addresses. It turned out that Time Warner had blacklisted our Swim Team’s domain. By filling out a form with TWC and verifying some information, we were able to get white listed but for several weeks I wasn’t sure how to resolve it.